== To do ==
Please write out the whole of the material below without altering anything.

== Excerpt ==
'''
LiEuTcO3 | PBE-GGA | optimized geometry

Calculated values
Its excess energy over the best structure of this formula in the dataset is 215.6 meV per atom. As for the symmetry: P4/mmm (123).

Structure (POSCAR):
```
LiEuTcO3
1.0
3.843 0.000 0.000
0.000 3.843 0.000
0.000 0.000 5.670
Li Eu Tc O
1 1 1 3
Cartesian
0.000 0.000 2.835
0.000 0.000 0.000
1.921 1.921 2.835
1.921 1.921 0.000
1.921 0.000 2.835
0.000 1.921 2.835
```

* * * * *

Record 1
First-principles (PBE) data for a relaxed structure of LaSi2Ru, as listed in the Materials Project database.

abc: 4.1122 4.5649 8.4150
angles: 77.67 90.00 90.00
Closest atoms and distances in Å follow each position.
Atoms (fractional coordinates):
Si  0.2500  0.5377  0.9090  1 Ru 2.45, 2 Si 2.54
Si  0.7500  0.8309  0.4916  4 Ru 2.40-2.46, 2 Si 2.59
Si  0.7500  0.4623  0.0910  1 Ru 2.45, 2 Si 2.54
Si  0.2500  0.1691  0.5084  4 Ru 2.40-2.46, 2 Si 2.59
La  0.7500  0.0877  0.7994  9 Si 3.06-3.34, 3 Ru 3.32-3.43
La  0.2500  0.9123  0.2006  9 Si 3.06-3.34, 3 Ru 3.32-3.43
Ru  0.7500  0.3786  0.3888  5 Si 2.40-2.46
Ru  0.2500  0.6214  0.6112  5 Si 2.40-2.46

Record 2
First-principles (PBE) data for a relaxed structure of TmCu2Ge2, as listed in the Materials Project database.

abc: 5.9064 5.9064 5.9064
angles: 140.28 140.28 57.44
Closest atoms and distances in Å follow each position.
Atoms (fractional coordinates):
Ge  0.6179  0.6179  0.0000  4 Cu 2.43, 1 Ge 2.44
Ge  0.3821  0.3821  0.0000  4 Cu 2.43, 1 Ge 2.44
Cu  0.2500  0.7500  0.5000  4 Ge 2.43
Cu  0.7500  0.2500  0.5000  4 Ge 2.43
Tm  0.0000  0.0000  0.0000  8 Ge 3.09, 8 Cu 3.28

Record 3
First-principles (PBE) data for a relaxed structure of Er2CrGe4, as listed in the Materials Project database.

abc: 4.2884 4.3153 7.9417
angles: 74.24 90.00 90.00
Closest atoms and distances in Å follow each position.
Atoms (fractional coordinates):
Er  0.2500  0.5986  0.8028  1 Cr 2.97, 10 Ge 3.08-3.16
Er  0.7500  0.3966  0.2067  10 Ge 3.14-3.28, 4 Cr 3.43
Ge  0.2500  0.9475  0.1050  1 Cr 2.37
Ge  0.7500  0.7472  0.5057  2 Cr 2.25
Ge  0.7500  0.0582  0.8836  2 Ge 2.73
Ge  0.2500  0.2420  0.5161  2 Cr 2.29
Cr  0.2500  0.7927  0.4145  5 Ge 2.25-2.37

Record 4
First-principles (PBE) data for a relaxed structure of Mg4SiSn, as listed in the Materials Project database.

abc: 8.0474 8.0474 8.0474
angles: 33.72 33.72 33.72
Closest atoms and distances in Å follow each position.
Atoms (fractional coordinates):
Mg  0.6216  0.6216  0.6216  1 Si 2.77, 3 Sn 2.88
Mg  0.3784  0.3784  0.3784  1 Si 2.77, 3 Sn 2.88
Mg  0.1281  0.1281  0.1281  3 Si 2.83, 1 Sn 2.91
Mg  0.8719  0.8719  0.8719  3 Si 2.83, 1 Sn 2.91
Si  0.5000  0.5000  0.5000  8 Mg 2.77-2.83
Sn  0.0000  0.0000  0.0000  8 Mg 2.88-2.91

Record 5
First-principles (PBE) data for a relaxed structure of VS2N3Cl2, as listed in the Materials Project database.

abc: 5.7960 7.6597 8.1270
angles: 90.13 98.15 107.59
Closest atoms and distances in Å follow each position.
Atoms (fractional coordinates):
Cl  0.6578  0.1932  0.0617  2 V 2.44-2.53
Cl  0.3422  0.8068  0.9383  2 V 2.44-2.53
Cl  0.7399  0.7314  0.7324  1 V 2.26
Cl  0.2601  0.2686  0.2676  1 V 2.26
S  0.7724  0.2685  0.5816  2 N 1.59-1.60
S  0.2207  0.3000  0.8011  2 N 1.59
S  0.7793  0.7000  0.1989  2 N 1.59
S  0.2276  0.7315  0.4184  2 N 1.59-1.60
N  0.0583  0.3578  0.6499  2 S 1.59-1.60
N  0.9417  0.6422  0.3501  2 S 1.59-1.60
N  0.0728  0.1279  0.8935  1 S 1.59
N  0.3449  0.8962  0.3079  1 S 1.59, 1 V 1.74
N  0.9272  0.8721  0.1065  1 S 1.59
N  0.6551  0.1038  0.6921  1 S 1.59, 1 V 1.74
V  0.7512  0.9946  0.8633  2 N 1.74-1.82
V  0.2488  0.0054  0.1367  2 N 1.74-1.82

Record 6
First-principles (PBE) data for a relaxed structure of CdPb3, as listed in the Materials Project database.

abc: 6.2404 6.2404 6.2404
angles: 134.69 134.69 66.01
Closest atoms and distances in Å follow each position.
Atoms (fractional coordinates):
Cd  0.0000  0.0000  0.0000  12 Pb 3.40-3.55
Pb  0.2500  0.7500  0.5000  8 Pb 3.40-3.55, 4 Cd 3.55
'''

== Response ==
LiEuTcO3 | PBE-GGA | optimized geometry

Calculated values
Its excess energy over the best structure of this formula in the dataset is 215.6 meV per atom. As for the symmetry: P4/mmm (123).

Structure (POSCAR):
```
LiEuTcO3
1.0
3.843 0.000 0.000
0.000 3.843 0.000
0.000 0.000 5.670
Li Eu Tc O
1 1 1 3
Cartesian
0.000 0.000 2.835
0.000 0.000 0.000
1.921 1.921 2.835
1.921 1.921 0.000
1.921 0.000 2.835
0.000 1.921 2.835
```

* * * * *

Record 1
First-principles (PBE) data for a relaxed structure of LaSi2Ru, as listed in the Materials Project database.

abc: 4.1122 4.5649 8.4150
angles: 77.67 90.00 90.00
Closest atoms and distances in Å follow each position.
Atoms (fractional coordinates):
Si  0.2500  0.5377  0.9090  1 Ru 2.45, 2 Si 2.54
Si  0.7500  0.8309  0.4916  4 Ru 2.40-2.46, 2 Si 2.59
Si  0.7500  0.4623  0.0910  1 Ru 2.45, 2 Si 2.54
Si  0.2500  0.1691  0.5084  4 Ru 2.40-2.46, 2 Si 2.59
La  0.7500  0.0877  0.7994  9 Si 3.06-3.34, 3 Ru 3.32-3.43
La  0.2500  0.9123  0.2006  9 Si 3.06-3.34, 3 Ru 3.32-3.43
Ru  0.7500  0.3786  0.3888  5 Si 2.40-2.46
Ru  0.2500  0.6214  0.6112  5 Si 2.40-2.46

Record 2
First-principles (PBE) data for a relaxed structure of TmCu2Ge2, as listed in the Materials Project database.

abc: 5.9064 5.9064 5.9064
angles: 140.28 140.28 57.44
Closest atoms and distances in Å follow each position.
Atoms (fractional coordinates):
Ge  0.6179  0.6179  0.0000  4 Cu 2.43, 1 Ge 2.44
Ge  0.3821  0.3821  0.0000  4 Cu 2.43, 1 Ge 2.44
Cu  0.2500  0.7500  0.5000  4 Ge 2.43
Cu  0.7500  0.2500  0.5000  4 Ge 2.43
Tm  0.0000  0.0000  0.0000  8 Ge 3.09, 8 Cu 3.28

Record 3
First-principles (PBE) data for a relaxed structure of Er2CrGe4, as listed in the Materials Project database.

abc: 4.2884 4.3153 7.9417
angles: 74.24 90.00 90.00
Closest atoms and distances in Å follow each position.
Atoms (fractional coordinates):
Er  0.2500  0.5986  0.8028  1 Cr 2.97, 10 Ge 3.08-3.16
Er  0.7500  0.3966  0.2067  10 Ge 3.14-3.28, 4 Cr 3.43
Ge  0.2500  0.9475  0.1050  1 Cr 2.37
Ge  0.7500  0.7472  0.5057  2 Cr 2.25
Ge  0.7500  0.0582  0.8836  2 Ge 2.73
Ge  0.2500  0.2420  0.5161  2 Cr 2.29
Cr  0.2500  0.7927  0.4145  5 Ge 2.25-2.37

Record 4
First-principles (PBE) data for a relaxed structure of Mg4SiSn, as listed in the Materials Project database.

abc: 8.0474 8.0474 8.0474
angles: 33.72 33.72 33.72
Closest atoms and distances in Å follow each position.
Atoms (fractional coordinates):
Mg  0.6216  0.6216  0.6216  1 Si 2.77, 3 Sn 2.88
Mg  0.3784  0.3784  0.3784  1 Si 2.77, 3 Sn 2.88
Mg  0.1281  0.1281  0.1281  3 Si 2.83, 1 Sn 2.91
Mg  0.8719  0.8719  0.8719  3 Si 2.83, 1 Sn 2.91
Si  0.5000  0.5000  0.5000  8 Mg 2.77-2.83
Sn  0.0000  0.0000  0.0000  8 Mg 2.88-2.91

Record 5
First-principles (PBE) data for a relaxed structure of VS2N3Cl2, as listed in the Materials Project database.

abc: 5.7960 7.6597 8.1270
angles: 90.13 98.15 107.59
Closest atoms and distances in Å follow each position.
Atoms (fractional coordinates):
Cl  0.6578  0.1932  0.0617  2 V 2.44-2.53
Cl  0.3422  0.8068  0.9383  2 V 2.44-2.53
Cl  0.7399  0.7314  0.7324  1 V 2.26
Cl  0.2601  0.2686  0.2676  1 V 2.26
S  0.7724  0.2685  0.5816  2 N 1.59-1.60
S  0.2207  0.3000  0.8011  2 N 1.59
S  0.7793  0.7000  0.1989  2 N 1.59
S  0.2276  0.7315  0.4184  2 N 1.59-1.60
N  0.0583  0.3578  0.6499  2 S 1.59-1.60
N  0.9417  0.6422  0.3501  2 S 1.59-1.60
N  0.0728  0.1279  0.8935  1 S 1.59
N  0.3449  0.8962  0.3079  1 S 1.59, 1 V 1.74
N  0.9272  0.8721  0.1065  1 S 1.59
N  0.6551  0.1038  0.6921  1 S 1.59, 1 V 1.74
V  0.7512  0.9946  0.8633  2 N 1.74-1.82
V  0.2488  0.0054  0.1367  2 N 1.74-1.82

Record 6
First-principles (PBE) data for a relaxed structure of CdPb3, as listed in the Materials Project database.

abc: 6.2404 6.2404 6.2404
angles: 134.69 134.69 66.01
Closest atoms and distances in Å follow each position.
Atoms (fractional coordinates):
Cd  0.0000  0.0000  0.0000  12 Pb 3.40-3.55
Pb  0.2500  0.7500  0.5000  8 Pb 3.40-3.55, 4 Cd 3.55